Request
Reproduce the contents underneath from the first line to the one with "0.915 0.141" exactly, please.

Contents
********
[1]
This record from the Open Molecules 2025 dataset describes a molecular structure, C6H10O. The level of theory is the ωB97M-V functional and the def2-TZVPD basis.

Positions of all 17 atoms, in Å:
1 C 1.857 -0.663 -0.005
2 C 0.770 0.337 0.360
3 C 0.055 1.157 -0.734
4 C -1.485 0.786 0.398
5 O -2.424 -0.092 -0.107
6 C -1.300 -0.956 -0.356
7 C -0.525 -0.302 0.824
8 H 2.181 -1.206 0.893
9 H 2.735 -0.178 -0.440
10 H 1.489 -1.411 -0.720
11 H 1.143 1.039 1.112
12 H 0.116 2.233 -0.697
13 H 0.455 0.890 -1.749
14 H -1.904 1.647 0.940
15 H -0.815 -0.429 -1.216
16 H -1.561 -2.015 -0.423
17 H -0.614 -0.824 1.781

Gap between HOMO and LUMO = 10.1 eV
M = 98.145 g/mol
Net charge = 0
Energy above the lowest of the compared OMol25 structures with the same formula, charge and spin = 84.38 kcal/mol
Total energy = -8427.5812 eV
2S+1 = 1


[2]
This record from the Open Molecules 2025 dataset describes a single C6H10O molecule. The level of theory is the ωB97M-V functional and the def2-TZVPD basis.

Positions of all 17 atoms, in Å:
1 C -0.531 -1.426 0.488
2 C -0.318 -0.689 1.581
3 C -0.425 0.767 1.289
4 O 0.778 1.327 0.784
5 C 1.305 0.637 -0.335
6 C 0.277 0.386 -1.429
7 C -0.872 -0.573 -0.924
8 H -0.389 -2.525 0.619
9 H -0.054 -1.035 2.585
10 H -0.774 1.383 2.111
11 H -1.178 0.771 0.504
12 H 1.701 -0.346 -0.048
13 H 2.135 1.255 -0.685
14 H 0.785 -0.064 -2.291
15 H -0.081 1.368 -1.789
16 H -1.786 0.073 -0.946
17 H -1.094 -1.323 -1.667

Gap between HOMO and LUMO = 10.6 eV
M = 98.145 g/mol
Net charge = 0
Structure (SMILES) = C1=CCOCCC1
Energy above the lowest of the compared OMol25 structures with the same formula, charge and spin = 43.03 kcal/mol
Total energy = -8429.3743 eV
2S+1 = 1


[3]
This record from the Open Molecules 2025 dataset describes a molecular structure, C6H10O. The level of theory is the ωB97M-V functional and the def2-TZVPD basis.

Positions of all 17 atoms, in Å:
1 C -0.953 0.812 1.638
2 C -0.181 0.797 0.333
3 C 1.272 0.275 0.309
4 C 1.083 -0.668 -0.881
5 O 0.915 0.141 -2.090
6 C -0.153 -1.520 -0.596
7 C -0.749 -0.222 -0.629
8 H -0.510 1.518 2.342
9 H -0.946 -0.186 2.095
10 H -2.000 1.094 1.471
11 H -0.197 1.793 -0.130
12 H 1.551 -0.257 1.228
13 H 2.023 1.042 0.112
14 H 0.880 -0.498 -2.797
15 H -0.425 -2.204 -1.395
16 H -0.123 -1.998 0.380
17 H -1.485 0.081 -1.390

Gap between HOMO and LUMO (spin up / spin down) = 7.6 / 8.0 eV
M = 98.145 g/mol
Net charge = 0
Energy above the lowest of the compared OMol25 structures with the same formula, charge and spin = 91.33 kcal/mol
Total energy = -8427.2799 eV
2S+1 = 1


[4]
This record from the Open Molecules 2025 dataset describes a molecular structure, C6H10O2. The level of theory is the ωB97M-V functional and the def2-TZVPD basis.

Positions of all 18 atoms, in Å:
1 C -0.712 0.189 -0.557
2 C -0.888 -0.944 -1.517
3 C 1.549 1.204 0.812
4 C 0.891 -0.126 0.654
5 C -2.038 0.779 0.181
6 C 1.462 -1.320 0.772
7 O -0.723 -0.126 0.905
8 O -2.272 1.968 0.296
9 H -0.230 1.107 -0.874
10 H -2.786 -0.022 0.254
11 H 0.075 -1.401 -1.772
12 H -1.348 -0.579 -2.439
13 H -1.526 -1.724 -1.096
14 H 2.497 1.085 1.342
15 H 1.778 1.647 -0.161
16 H 0.896 1.895 1.346
17 H 2.473 -1.388 1.157
18 H 0.902 -2.242 0.696

Gap between HOMO and LUMO = 8.8 eV
M = 114.144 g/mol
Net charge = 0
Energy above the lowest of the compared OMol25 structures with the same formula, charge and spin = 116.40 kcal/mol
Total energy = -10474.1226 eV
2S+1 = 1


[5]
This record from the Open Molecules 2025 dataset describes a molecular structure, C6H10O2. The level of theory is the ωB97M-V functional and the def2-TZVPD basis.

Positions of all 18 atoms, in Å:
1 C -2.349 -1.082 0.511
2 C -2.089 0.108 -0.293
3 C -0.749 0.862 -0.136
4 C 0.530 -0.240 -0.175
5 C 1.849 0.470 0.297
6 C 2.926 -0.464 0.220
7 H -1.819 -2.092 0.380
8 H -2.168 -0.971 1.495
9 H -3.674 -1.360 0.386
10 H -2.502 0.854 -0.280
11 H -1.992 -0.097 -1.203
12 H 1.578 0.878 1.018
13 H 2.234 1.274 -0.353
14 H 3.119 -0.932 -1.010
15 H 3.730 -0.044 0.182
16 H 2.691 -1.364 0.741
********

Reply
[1]
This record from the Open Molecules 2025 dataset describes a molecular structure, C6H10O. The level of theory is the ωB97M-V functional and the def2-TZVPD basis.

Positions of all 17 atoms, in Å:
1 C 1.857 -0.663 -0.005
2 C 0.770 0.337 0.360
3 C 0.055 1.157 -0.734
4 C -1.485 0.786 0.398
5 O -2.424 -0.092 -0.107
6 C -1.300 -0.956 -0.356
7 C -0.525 -0.302 0.824
8 H 2.181 -1.206 0.893
9 H 2.735 -0.178 -0.440
10 H 1.489 -1.411 -0.720
11 H 1.143 1.039 1.112
12 H 0.116 2.233 -0.697
13 H 0.455 0.890 -1.749
14 H -1.904 1.647 0.940
15 H -0.815 -0.429 -1.216
16 H -1.561 -2.015 -0.423
17 H -0.614 -0.824 1.781

Gap between HOMO and LUMO = 10.1 eV
M = 98.145 g/mol
Net charge = 0
Energy above the lowest of the compared OMol25 structures with the same formula, charge and spin = 84.38 kcal/mol
Total energy = -8427.5812 eV
2S+1 = 1


[2]
This record from the Open Molecules 2025 dataset describes a single C6H10O molecule. The level of theory is the ωB97M-V functional and the def2-TZVPD basis.

Positions of all 17 atoms, in Å:
1 C -0.531 -1.426 0.488
2 C -0.318 -0.689 1.581
3 C -0.425 0.767 1.289
4 O 0.778 1.327 0.784
5 C 1.305 0.637 -0.335
6 C 0.277 0.386 -1.429
7 C -0.872 -0.573 -0.924
8 H -0.389 -2.525 0.619
9 H -0.054 -1.035 2.585
10 H -0.774 1.383 2.111
11 H -1.178 0.771 0.504
12 H 1.701 -0.346 -0.048
13 H 2.135 1.255 -0.685
14 H 0.785 -0.064 -2.291
15 H -0.081 1.368 -1.789
16 H -1.786 0.073 -0.946
17 H -1.094 -1.323 -1.667

Gap between HOMO and LUMO = 10.6 eV
M = 98.145 g/mol
Net charge = 0
Structure (SMILES) = C1=CCOCCC1
Energy above the lowest of the compared OMol25 structures with the same formula, charge and spin = 43.03 kcal/mol
Total energy = -8429.3743 eV
2S+1 = 1


[3]
This record from the Open Molecules 2025 dataset describes a molecular structure, C6H10O. The level of theory is the ωB97M-V functional and the def2-TZVPD basis.

Positions of all 17 atoms, in Å:
1 C -0.953 0.812 1.638
2 C -0.181 0.797 0.333
3 C 1.272 0.275 0.309
4 C 1.083 -0.668 -0.881
5 O 0.915 0.141 -2.090